Request:
What is needed: write out every line underneath that contains the word "Tc".
Listing:
=====
No. 1
# Sm3GeIr3
Computed powder diffraction line list, Cu Kα (weighted mean of Kα1 and Kα2). Input: a cell relaxed with GGA-PBE.
Kinematic intensities with the Lorentz-polarization factor, no thermal factor.

Crystal structure
Cell lengths 10.585, 4.089, 14.895 Å; angles 90.00, 108.65, 90.00 degrees
Space group C2/m (No. 12)
Unique sites:
Sm  0.015  0.000  0.380
Sm  0.111  0.000  0.926
Sm  0.240  0.000  0.220
Ge  0.229  0.500  0.387
Ir  0.031  0.500  0.232
Ir  0.114  0.500  0.076
Ir  0.154  0.500  0.535

Most intense lines, 15° ≤ 2θ ≤ 90°, sorted by position:
Position (°2θ)  d/Å  I/Imax  (hkl)
32.1  2.790  46  1 1 3
32.5  2.752  100  1 1 -4
33.6  2.666  59  3 1 -1
33.9  2.645  32  4 0 -2
39.7  2.269  37  4 0 -5
40.0  2.256  68  3 1 2
44.3  2.045  46  0 2 0
65.9  1.418  27  7 1 -3

No. 2
# Rb6CdF8
Computed powder diffraction line list, Cu Kα (weighted mean of Kα1 and Kα2). Input: a cell relaxed with GGA-PBE.
Kinematic intensities with the Lorentz-polarization factor, no thermal factor.

Crystal structure
Cell lengths 8.2425, 8.2425, 16.5337 Å; angles 90.00, 90.00, 120.00 degrees
Space group R-3 (No. 148, hexagonal axes)
Unique sites:
Rb  0.0220  0.4038  0.4154
Cd  0.0000  0.0000  0.5000
F  0.0000  0.0000  0.1593
F  0.0109  0.2360  0.5796

Most intense lines, 15° ≤ 2θ ≤ 90°, sorted by position:
Position (°2θ)  d/Å  I/Imax  (hkl)
25.5  3.489  31  0 2 1
27.0  3.300  100  1 1 3
32.5  2.756  20  0 0 6
33.7  2.663  26  3 -1 1
35.0  2.565  25  3 -2 2
37.8  2.379  37  3 0 0
39.3  2.291  49  2 -1 6
43.3  2.090  20  3 -2 5

No. 3
# K3Sn2I7
Computed powder diffraction line list, Cu Kα (weighted mean of Kα1 and Kα2). Input: a cell relaxed with GGA-PBE.
Kinematic intensities with the Lorentz-polarization factor, no thermal factor.

Crystal structure
Cell lengths 6.243, 6.243, 30.096 Å; angles 90.00, 90.00, 90.00 degrees
Space group I4/mmm (No. 139)
Unique sites:
K  0.000  0.000  0.000
K  0.000  0.000  0.176
Sn  0.000  0.000  0.393
I  0.000  0.000  0.292
I  0.000  0.000  0.500
I  0.000  0.500  0.102

Most intense lines, 15° ≤ 2θ ≤ 90°, sorted by position:
Position (°2θ)  d/Å  I/Imax  (hkl)
23.4  3.807  48  1 1 4
26.9  3.314  35  1 1 6
28.6  3.121  100  2 0 0
29.7  3.010  36  0 0 10
30.3  2.948  36  1 0 9
40.9  2.207  38  2 2 0
41.7  2.167  58  2 0 10
51.3  1.780  32  2 2 10

No. 4
# CsPa2TcO8
Computed powder diffraction line list, Cu Kα (weighted mean of Kα1 and Kα2). Input: a cell relaxed with GGA-PBE.
Kinematic intensities with the Lorentz-polarization factor, no thermal factor.

Crystal structure
Cell lengths 9.151, 6.682, 7.792 Å; angles 90.00, 103.89, 90.00 degrees
Space group C2/m (No. 12)
Unique sites:
Cs  0.000  0.000  0.000
Pa  0.068  0.500  0.235
Tc  0.000  0.000  0.500
O  0.030  0.216  0.337
O  0.133  0.500  0.979
O  0.214  0.000  0.613

Most intense lines, 15° ≤ 2θ ≤ 90°, sorted by position:
Position (°2θ)  d/Å  I/Imax  (hkl)
18.9  4.693  39  1 1 -1
20.0  4.442  87  2 0 0
20.6  4.308  38  2 0 -1
26.7  3.341  65  0 2 0
26.8  3.321  100  1 1 -2
30.9  2.896  69  1 1 2
33.6  2.670  29  2 2 0
45.3  2.004  25  4 0 1

No. 5
# Ac2AsPd3
Computed powder diffraction line list, Cu Kα (weighted mean of Kα1 and Kα2). Input: a cell relaxed with GGA-PBE.
Kinematic intensities with the Lorentz-polarization factor, no thermal factor.

Crystal structure
Cell lengths 4.150, 4.513, 7.888 Å; angles 90.00, 90.00, 90.00 degrees
Space group Pmm2 (No. 25)
Unique sites:
Ac  0.000  0.000  0.000
Ac  0.000  0.500  0.495
As  0.500  0.500  0.821
Pd  0.500  0.000  0.333
Pd  0.500  0.000  0.680
Pd  0.500  0.500  0.144

Most intense lines, 15° ≤ 2θ ≤ 90°, sorted by position:
Position (°2θ)  d/Å  I/Imax  (hkl)
31.3  2.859  50  1 0 2
31.4  2.848  100  1 1 1
39.7  2.272  45  0 1 3
40.0  2.256  23  0 2 0
43.6  2.075  18  2 0 0
51.6  1.771  25  1 2 2
60.4  1.532  26  2 1 3
72.4  1.305  21  0 3 3

No. 6
# Ac3La2Sm2
Computed powder diffraction line list, Cu Kα (weighted mean of Kα1 and Kα2). Input: a cell relaxed with GGA-PBE.
=====
Done:
Tc  0.000  0.000  0.500